File.
........
# 1
The following is a theoretical X-ray diffraction stick pattern of LiOsO3. It was derived from DFT lattice parameters and positions (PBE), using Cu Ka.
No peak broadening, texture or thermal motion is included.

Principal peaks in the range 2θ = 10–90°, by angle:
3.688 Å, 24.13 deg, rel. 100; 2.666 Å, 33.61 deg, rel. 41; 2.553 Å, 35.15 deg, rel. 30; 2.099 Å, 43.09 deg, rel. 17; 1.844 Å, 49.42 deg, rel. 17; 1.679 Å, 54.67 deg, rel. 26; 1.622 Å, 56.77 deg, rel. 18; 1.563 Å, 59.09 deg, rel. 8; 1.495 Å, 62.09 deg, rel. 15; 1.474 Å, 63.07 deg, rel. 10; 1.206 Å, 79.44 deg, rel. 8; 1.182 Å, 81.43 deg, rel. 7

Structural model:
```
LiOsO3
1.0
2.553 1.474 4.457
-2.553 1.474 4.457
0.000 -2.948 4.457
Li Os O
2 2 6
direct
0.000 0.000 0.000
0.500 0.500 0.500
0.285 0.285 0.285
0.785 0.785 0.785
0.040 0.408 0.664
0.164 0.908 0.540
0.408 0.664 0.040
0.540 0.164 0.908
0.664 0.040 0.408
0.908 0.540 0.164
```


# 2
The following is a theoretical X-ray diffraction stick pattern of Ga3Pb. It was derived from DFT lattice parameters and positions (PBE), using Cu Ka.
No peak broadening, texture or thermal motion is included.

Principal peaks in the range 2θ = 10–90°, by angle:
4.159 Å, 21.36 deg, rel. 21; 3.602 Å, 24.72 deg, rel. 11; 2.547 Å, 35.23 deg, rel. 100; 2.172 Å, 41.57 deg, rel. 12; 1.801 Å, 50.68 deg, rel. 18; 1.653 Å, 55.61 deg, rel. 5; 1.611 Å, 57.18 deg, rel. 5; 1.471 Å, 63.23 deg, rel. 36; 1.386 Å, 67.56 deg, rel. 4; 1.274 Å, 74.50 deg, rel. 11; 1.218 Å, 78.55 deg, rel. 4; 1.139 Å, 85.18 deg, rel. 16

Structural model:
```
Ga3Pb
1.0
7.204 0.000 0.000
0.000 7.204 0.000
0.000 0.000 7.204
Ga Pb
12 4
direct
0.000 0.000 0.000
0.000 0.500 0.500
0.250 0.250 0.250
........

Request.
It remains to return the whole of the notes above exactly.

Worked solution.
# 1
The following is a theoretical X-ray diffraction stick pattern of LiOsO3. It was derived from DFT lattice parameters and positions (PBE), using Cu Ka.
No peak broadening, texture or thermal motion is included.

Principal peaks in the range 2θ = 10–90°, by angle:
3.688 Å, 24.13 deg, rel. 100; 2.666 Å, 33.61 deg, rel. 41; 2.553 Å, 35.15 deg, rel. 30; 2.099 Å, 43.09 deg, rel. 17; 1.844 Å, 49.42 deg, rel. 17; 1.679 Å, 54.67 deg, rel. 26; 1.622 Å, 56.77 deg, rel. 18; 1.563 Å, 59.09 deg, rel. 8; 1.495 Å, 62.09 deg, rel. 15; 1.474 Å, 63.07 deg, rel. 10; 1.206 Å, 79.44 deg, rel. 8; 1.182 Å, 81.43 deg, rel. 7

Structural model:
```
LiOsO3
1.0
2.553 1.474 4.457
-2.553 1.474 4.457
0.000 -2.948 4.457
Li Os O
2 2 6
direct
0.000 0.000 0.000
0.500 0.500 0.500
0.285 0.285 0.285
0.785 0.785 0.785
0.040 0.408 0.664
0.164 0.908 0.540
0.408 0.664 0.040
0.540 0.164 0.908
0.664 0.040 0.408
0.908 0.540 0.164
```


# 2
The following is a theoretical X-ray diffraction stick pattern of Ga3Pb. It was derived from DFT lattice parameters and positions (PBE), using Cu Ka.
No peak broadening, texture or thermal motion is included.

Principal peaks in the range 2θ = 10–90°, by angle:
4.159 Å, 21.36 deg, rel. 21; 3.602 Å, 24.72 deg, rel. 11; 2.547 Å, 35.23 deg, rel. 100; 2.172 Å, 41.57 deg, rel. 12; 1.801 Å, 50.68 deg, rel. 18; 1.653 Å, 55.61 deg, rel. 5; 1.611 Å, 57.18 deg, rel. 5; 1.471 Å, 63.23 deg, rel. 36; 1.386 Å, 67.56 deg, rel. 4; 1.274 Å, 74.50 deg, rel. 11; 1.218 Å, 78.55 deg, rel. 4; 1.139 Å, 85.18 deg, rel. 16

Structural model:
```
Ga3Pb
1.0
7.204 0.000 0.000
0.000 7.204 0.000
0.000 0.000 7.204
Ga Pb
12 4
direct
0.000 0.000 0.000
0.000 0.500 0.500
0.250 0.250 0.250